[Job]
It remains to retype the block further down without additions.

[Entries]
-- begin --
Entry 1:
{"formula": "C30H49N10O2SSiY", "method": "ωB97M-V/def2-TZVPD", "charge": 2, "elements": ["Y", "C", "C", "C", "C", "C", "C", "N", "C", "C", "C", "C", "C", "N", "C", "C", "C", "C", "C", "C", "N", "H", "H", "H", "H", "H", "H", "H", "H", "H", "H", "H", "H", "H", "H", "H", "N", "N", "C", "N", "N", "N", "O", "O", "H", "H", "H", "H", "H", "C", "Si", "C", "C", "H", "H", "H", "H", "H", "H", "H", "H", "H", "C", "C", "C", "C", "N", "C", "S", "N", "C", "C", "C", "C", "H", "H", "H", "H", "H", "H", "H", "H", "H", "H", "H", "H", "H", "H", "H", "H", "H", "H", "H", "H"], "coordinates": [[-11.229, 15.806, 7.800], [-11.853, 19.053, 8.009], [-10.612, 18.850, 8.806], [-9.752, 19.906, 9.148], [-8.539, 19.613, 9.749], [-8.224, 18.301, 10.038], [-9.162, 17.326, 9.801], [-10.305, 17.574, 9.109], [-8.955, 15.924, 10.230], [-8.011, 15.573, 11.219], [-7.863, 14.230, 11.518], [-8.652, 13.287, 10.858], [-9.573, 13.709, 9.920], [-9.706, 14.999, 9.587], [-10.493, 12.768, 9.206], [-10.468, 11.405, 9.434], [-11.360, 10.591, 8.744], [-12.249, 11.157, 7.848], [-12.196, 12.542, 7.637], [-13.144, 13.159, 6.647], [-11.319, 13.335, 8.274], [-12.314, 20.022, 8.224], [-12.644, 18.344, 8.268], [-11.657, 19.084, 6.937], [-10.045, 20.915, 8.910], [-7.878, 20.434, 9.986], [-7.307, 18.050, 10.531], [-7.446, 16.269, 11.810], [-7.151, 13.896, 12.291], [-8.544, 12.224, 11.062], [-9.855, 10.973, 10.212], [-11.441, 9.511, 8.940], [-12.951, 10.539, 7.302], [-14.019, 12.553, 6.524], [-12.628, 13.178, 5.700], [-13.489, 14.142, 6.959], [-12.687, 16.330, 5.824], [-12.033, 17.105, 4.898], [-10.684, 16.971, 4.752], [-10.151, 17.607, 3.725], [-10.061, 16.344, 5.748], [-8.668, 16.083, 5.692], [-8.058, 16.423, 4.700], [-8.224, 15.499, 6.674], [-13.099, 15.501, 5.366], [-13.424, 16.853, 6.281], [-12.556, 17.212, 4.030], [-10.718, 18.107, 3.030], [-9.137, 17.544, 3.579], [-14.503, 17.459, 10.080], [-14.009, 15.972, 8.979], [-15.464, 16.073, 7.713], [-14.405, 14.447, 10.082], [-15.137, 17.098, 10.907], [-15.049, 18.182, 9.478], [-13.689, 18.008, 10.561], [-16.235, 15.366, 8.044], [-15.241, 15.829, 6.669], [-15.973, 17.040, 7.685], [-15.486, 14.396, 10.272], [-13.904, 14.646, 11.062], [-14.030, 13.479, 9.720], [-11.899, 16.902, 0.553], [-12.821, 16.124, -0.380], [-13.861, 15.278, 0.337], [-14.440, 15.974, 1.585], [-13.535, 15.811, 2.718], [-13.294, 14.510, 3.145], [-11.701, 14.068, 3.499], [-14.274, 13.644, 3.422], [-15.616, 14.027, 3.870], [-16.799, 13.656, 2.941], [-17.558, 12.389, 3.346], [-16.842, 11.074, 3.029], [-11.093, 17.426, -0.006], [-11.422, 16.257, 1.275], [-12.421, 17.709, 1.086], [-12.216, 15.571, -1.092], [-13.343, 16.879, -0.983], [-13.510, 14.293, 0.676], [-14.703, 15.102, -0.335], [-15.411, 15.573, 1.879], [-14.527, 17.039, 1.439], [-12.631, 16.184, 2.481], [-13.941, 12.749, 3.678], [-15.551, 15.091, 4.025], [-15.765, 13.533, 4.815], [-16.444, 13.515, 1.922], [-17.505, 14.486, 3.002], [-18.528, 12.388, 2.831], [-17.788, 12.390, 4.447], [-16.577, 10.980, 1.977], [-17.437, 10.194, 3.217], [-15.918, 10.949, 3.600]], "mulliken_charge": [1.172, -1.105, 1.065, -0.986, -0.642, -0.993, 0.859, 0.012, 0.638, -1.135, -0.759, -1.154, 0.390, 0.701, 0.948, -1.017, -0.781, -0.980, 0.378, 0.453, 0.519, 0.556, -0.185, 0.247, 0.529, 0.475, 0.438, 0.440, 0.438, 0.377, 0.363, 0.429, 0.538, 0.732, -0.005, -1.412, 0.495, -0.296, 0.344, -0.262, -0.212, 0.927, -0.708, -0.633, -0.353, 0.221, 0.248, 0.168, 0.242, -1.495, 1.166, -1.053, -1.330, 0.375, 0.401, 0.362, 0.365, -0.149, 0.446, 0.423, 0.285, 0.305, -0.987, -0.658, -0.542, -0.960, 0.223, -0.627, -0.290, 0.392, -0.823, -0.839, -0.656, -1.117, 0.396, 0.349, 0.272, 0.394, 0.336, 0.323, 0.446, 0.371, 0.590, -0.241, 0.476, 0.439, 0.558, 0.304, 0.459, 0.382, 0.298, 0.300, 0.404, 0.200]}

***

Entry 2:
-- stop --

[Outcome]
Entry 1:
{"formula": "C30H49N10O2SSiY", "method": "ωB97M-V/def2-TZVPD", "charge": 2, "elements": ["Y", "C", "C", "C", "C", "C", "C", "N", "C", "C", "C", "C", "C", "N", "C", "C", "C", "C", "C", "C", "N", "H", "H", "H", "H", "H", "H", "H", "H", "H", "H", "H", "H", "H", "H", "H", "N", "N", "C", "N", "N", "N", "O", "O", "H", "H", "H", "H", "H", "C", "Si", "C", "C", "H", "H", "H", "H", "H", "H", "H", "H", "H", "C", "C", "C", "C", "N", "C", "S", "N", "C", "C", "C", "C", "H", "H", "H", "H", "H", "H", "H", "H", "H", "H", "H", "H", "H", "H", "H", "H", "H", "H", "H", "H"], "coordinates": [[-11.229, 15.806, 7.800], [-11.853, 19.053, 8.009], [-10.612, 18.850, 8.806], [-9.752, 19.906, 9.148], [-8.539, 19.613, 9.749], [-8.224, 18.301, 10.038], [-9.162, 17.326, 9.801], [-10.305, 17.574, 9.109], [-8.955, 15.924, 10.230], [-8.011, 15.573, 11.219], [-7.863, 14.230, 11.518], [-8.652, 13.287, 10.858], [-9.573, 13.709, 9.920], [-9.706, 14.999, 9.587], [-10.493, 12.768, 9.206], [-10.468, 11.405, 9.434], [-11.360, 10.591, 8.744], [-12.249, 11.157, 7.848], [-12.196, 12.542, 7.637], [-13.144, 13.159, 6.647], [-11.319, 13.335, 8.274], [-12.314, 20.022, 8.224], [-12.644, 18.344, 8.268], [-11.657, 19.084, 6.937], [-10.045, 20.915, 8.910], [-7.878, 20.434, 9.986], [-7.307, 18.050, 10.531], [-7.446, 16.269, 11.810], [-7.151, 13.896, 12.291], [-8.544, 12.224, 11.062], [-9.855, 10.973, 10.212], [-11.441, 9.511, 8.940], [-12.951, 10.539, 7.302], [-14.019, 12.553, 6.524], [-12.628, 13.178, 5.700], [-13.489, 14.142, 6.959], [-12.687, 16.330, 5.824], [-12.033, 17.105, 4.898], [-10.684, 16.971, 4.752], [-10.151, 17.607, 3.725], [-10.061, 16.344, 5.748], [-8.668, 16.083, 5.692], [-8.058, 16.423, 4.700], [-8.224, 15.499, 6.674], [-13.099, 15.501, 5.366], [-13.424, 16.853, 6.281], [-12.556, 17.212, 4.030], [-10.718, 18.107, 3.030], [-9.137, 17.544, 3.579], [-14.503, 17.459, 10.080], [-14.009, 15.972, 8.979], [-15.464, 16.073, 7.713], [-14.405, 14.447, 10.082], [-15.137, 17.098, 10.907], [-15.049, 18.182, 9.478], [-13.689, 18.008, 10.561], [-16.235, 15.366, 8.044], [-15.241, 15.829, 6.669], [-15.973, 17.040, 7.685], [-15.486, 14.396, 10.272], [-13.904, 14.646, 11.062], [-14.030, 13.479, 9.720], [-11.899, 16.902, 0.553], [-12.821, 16.124, -0.380], [-13.861, 15.278, 0.337], [-14.440, 15.974, 1.585], [-13.535, 15.811, 2.718], [-13.294, 14.510, 3.145], [-11.701, 14.068, 3.499], [-14.274, 13.644, 3.422], [-15.616, 14.027, 3.870], [-16.799, 13.656, 2.941], [-17.558, 12.389, 3.346], [-16.842, 11.074, 3.029], [-11.093, 17.426, -0.006], [-11.422, 16.257, 1.275], [-12.421, 17.709, 1.086], [-12.216, 15.571, -1.092], [-13.343, 16.879, -0.983], [-13.510, 14.293, 0.676], [-14.703, 15.102, -0.335], [-15.411, 15.573, 1.879], [-14.527, 17.039, 1.439], [-12.631, 16.184, 2.481], [-13.941, 12.749, 3.678], [-15.551, 15.091, 4.025], [-15.765, 13.533, 4.815], [-16.444, 13.515, 1.922], [-17.505, 14.486, 3.002], [-18.528, 12.388, 2.831], [-17.788, 12.390, 4.447], [-16.577, 10.980, 1.977], [-17.437, 10.194, 3.217], [-15.918, 10.949, 3.600]], "mulliken_charge": [1.172, -1.105, 1.065, -0.986, -0.642, -0.993, 0.859, 0.012, 0.638, -1.135, -0.759, -1.154, 0.390, 0.701, 0.948, -1.017, -0.781, -0.980, 0.378, 0.453, 0.519, 0.556, -0.185, 0.247, 0.529, 0.475, 0.438, 0.440, 0.438, 0.377, 0.363, 0.429, 0.538, 0.732, -0.005, -1.412, 0.495, -0.296, 0.344, -0.262, -0.212, 0.927, -0.708, -0.633, -0.353, 0.221, 0.248, 0.168, 0.242, -1.495, 1.166, -1.053, -1.330, 0.375, 0.401, 0.362, 0.365, -0.149, 0.446, 0.423, 0.285, 0.305, -0.987, -0.658, -0.542, -0.960, 0.223, -0.627, -0.290, 0.392, -0.823, -0.839, -0.656, -1.117, 0.396, 0.349, 0.272, 0.394, 0.336, 0.323, 0.446, 0.371, 0.590, -0.241, 0.476, 0.439, 0.558, 0.304, 0.459, 0.382, 0.298, 0.300, 0.404, 0.200]}

***

Entry 2: